********
[1]
Here is a relaxed structure of Ac5ThCd4 from Alexandria. Energies are from PBE.

## Properties
- Total magnetic moment: 0.088 μB/f.u.
- E_tot: -3.35 eV per atom
- E_form: -0.190 eV/atom
- Space-group type: P4/mmm (123)

Unit cell a=3.9769 b=3.9769 c=21.9125 alpha=90.00 beta=90.00 gamma=90.00
Sites, in units of the cell vectors:
Ac (0.5000, 0.5000, 0.1129)
Ac (0.5000, 0.5000, 0.3088)
Ac (0.5000, 0.5000, 0.5000)
Ac (0.5000, 0.5000, 0.6912)
Ac (0.5000, 0.5000, 0.8871)
Th (0.0000, 0.0000, 0.0000)
Cd (0.0000, 0.0000, 0.2105)
Cd (0.0000, 0.0000, 0.4048)
Cd (0.0000, 0.0000, 0.5952)
Cd (0.0000, 0.0000, 0.7895)


[2]
Here is a relaxed structure of AcThCd6 from Alexandria. Energies are from PBE.

## Properties
- Total magnetic moment: 0.000 μB/f.u.
- E_tot: -2.31 eV per atom
- E_form: -0.187 eV/atom
- Space-group type: Pmm2 (25)

Unit cell a=4.8889 b=6.5076 c=6.7582 alpha=90.00 beta=90.00 gamma=90.00
Sites, in units of the cell vectors:
Ac (0.0000, 0.6090, 0.0000)
Th (0.5000, 0.3930, 0.5000)
Cd (0.5000, 0.8655, 0.2677)
Cd (0.0000, 0.1483, 0.7348)
Cd (0.0000, 0.1483, 0.2652)
Cd (0.5000, 0.8655, 0.7323)
Cd (0.0000, 0.7368, 0.5000)
Cd (0.5000, 0.2336, 0.0000)
********

Restate the whole of the lines earlier on without altering anything.

[1]
Here is a relaxed structure of Ac5ThCd4 from Alexandria. Energies are from PBE.

## Properties
- Total magnetic moment: 0.088 μB/f.u.
- E_tot: -3.35 eV per atom
- E_form: -0.190 eV/atom
- Space-group type: P4/mmm (123)

Unit cell a=3.9769 b=3.9769 c=21.9125 alpha=90.00 beta=90.00 gamma=90.00
Sites, in units of the cell vectors:
Ac (0.5000, 0.5000, 0.1129)
Ac (0.5000, 0.5000, 0.3088)
Ac (0.5000, 0.5000, 0.5000)
Ac (0.5000, 0.5000, 0.6912)
Ac (0.5000, 0.5000, 0.8871)
Th (0.0000, 0.0000, 0.0000)
Cd (0.0000, 0.0000, 0.2105)
Cd (0.0000, 0.0000, 0.4048)
Cd (0.0000, 0.0000, 0.5952)
Cd (0.0000, 0.0000, 0.7895)


[2]
Here is a relaxed structure of AcThCd6 from Alexandria. Energies are from PBE.

## Properties
- Total magnetic moment: 0.000 μB/f.u.
- E_tot: -2.31 eV per atom
- E_form: -0.187 eV/atom
- Space-group type: Pmm2 (25)

Unit cell a=4.8889 b=6.5076 c=6.7582 alpha=90.00 beta=90.00 gamma=90.00
Sites, in units of the cell vectors:
Ac (0.0000, 0.6090, 0.0000)
Th (0.5000, 0.3930, 0.5000)
Cd (0.5000, 0.8655, 0.2677)
Cd (0.0000, 0.1483, 0.7348)
Cd (0.0000, 0.1483, 0.2652)
Cd (0.5000, 0.8655, 0.7323)
Cd (0.0000, 0.7368, 0.5000)
Cd (0.5000, 0.2336, 0.0000)